Job.
Give back every line further down that contains the word "C65H152O43".
Material.
<<<
ORCA calculation (wB97M-V/def2-TZVPD) on a cluster of 18 separate species, C65H152O43 in total at a distorted geometry.

Element x y z (Å)
1 C -1.997 1.746 3.379
2 O -3.048 1.411 4.299
3 C -2.677 1.078 5.520
4 O -1.645 1.424 6.077
5 O -3.661 0.349 6.091
6 C -3.437 0.088 7.506
7 H -2.420 2.219 2.517
8 H -1.614 0.787 3.094
9 H -1.184 2.307 3.910
10 H -2.897 0.922 7.990
11 H -2.848 -0.809 7.615
12 H -4.476 -0.014 7.823
13 C 0.076 -3.246 -5.394
14 O 1.301 -3.550 -4.712
15 C 1.582 -4.812 -4.428
16 O 2.709 -5.209 -4.401
17 O 0.473 -5.444 -4.048
18 C 0.539 -6.827 -3.657
19 H 0.181 -2.219 -5.655
20 H -0.807 -3.313 -4.733
21 H 0.011 -4.035 -6.224
22 H 1.185 -7.378 -4.368
23 H -0.485 -7.117 -3.673
24 H 0.835 -6.970 -2.627
25 C -3.720 -3.743 -4.311
26 O -3.106 -3.512 -3.065
27 C -2.571 -4.579 -2.491
28 O -2.464 -5.706 -2.935
29 O -2.034 -4.153 -1.352
30 C -1.390 -5.210 -0.631
31 H -3.047 -4.137 -5.081
32 H -3.998 -2.755 -4.690
33 H -4.580 -4.393 -4.219
34 H -0.532 -5.498 -1.148
35 H -2.031 -6.071 -0.465
36 H -1.115 -4.829 0.365
37 C -3.446 -2.925 4.484
38 O -1.927 -3.190 4.342
39 C -1.269 -2.692 5.301
40 O -1.782 -1.880 6.072
41 O 0.050 -3.067 5.251
42 C 0.903 -2.268 6.156
43 H -3.901 -3.462 3.701
44 H -3.666 -1.862 4.490
45 H -3.704 -3.368 5.474
46 H 0.327 -1.599 6.794
47 H 1.584 -1.674 5.589
48 H 1.447 -2.970 6.744
49 C 3.297 -1.268 -6.250
50 O 2.073 -0.728 -5.623
51 C 1.913 0.542 -5.850
52 O 2.710 1.259 -6.447
53 O 0.779 1.028 -5.334
54 C 0.511 2.416 -5.288
55 H 3.456 -0.743 -7.172
56 H 3.267 -2.367 -6.323
57 H 4.135 -1.084 -5.582
58 H -0.409 2.600 -4.727
59 H 0.378 2.757 -6.323
60 H 1.284 2.895 -4.736
61 C -4.243 4.301 4.322
62 O -3.738 5.372 3.581
63 C -3.306 5.194 2.324
64 O -3.243 4.155 1.703
65 O -2.814 6.303 1.844
66 C -2.152 6.309 0.598
67 H -3.585 4.258 5.238
68 H -4.361 3.344 3.818
69 H -5.216 4.674 4.645
70 H -1.338 5.677 0.702
71 H -1.772 7.295 0.342
72 H -2.756 5.969 -0.198
73 C 0.135 -1.578 -2.369
74 O -1.021 -1.012 -1.677
75 C -1.132 -1.080 -0.360
76 O -1.989 -0.498 0.266
77 O -0.188 -1.775 0.155
78 C -0.085 -1.959 1.586
79 H 0.281 -2.647 -2.207
80 H 0.956 -0.972 -2.103
81 H -0.185 -1.421 -3.419
82 H 0.382 -2.877 1.720
83 H -1.054 -2.002 2.044
84 H 0.615 -1.218 1.928
85 C 5.638 -3.032 -2.963
86 O 4.979 -2.102 -2.101
87 C 3.626 -2.413 -1.843
88 C 3.138 -1.484 -0.782
89 O 2.733 -0.197 -1.296
90 C 3.746 0.523 -1.980
91 H 6.721 -2.760 -2.871
92 H 5.209 -3.009 -3.965
93 H 5.518 -4.074 -2.597
94 H 3.441 -3.445 -1.590
95 H 3.114 -2.253 -2.852
96 H 3.882 -1.317 -0.012
97 H 2.206 -1.888 -0.396
98 H 4.651 0.535 -1.360
99 H 3.291 1.470 -2.151
100 H 4.031 0.059 -3.002
101 C -7.895 -1.537 3.563
102 O -6.929 -2.533 3.168
103 C -7.169 -3.125 1.858
104 C -6.048 -4.152 1.553
105 O -4.762 -3.582 1.379
106 C -4.780 -2.595 0.326
107 H -7.727 -0.629 2.933
108 H -7.713 -1.397 4.624
109 H -8.928 -1.882 3.495
110 H -7.294 -2.305 1.176
111 H -8.105 -3.695 1.875
112 H -6.358 -4.751 0.669
113 H -5.946 -4.832 2.345
114 H -5.398 -3.039 -0.468
115 H -3.765 -2.554 -0.030
116 H -5.280 -1.686 0.685
117 C -4.668 -0.040 -3.947
118 O -4.844 0.396 -5.339
119 C -3.696 0.957 -5.930
120 C -2.351 0.144 -5.878
121 O -2.458 -1.175 -6.308
122 C -3.111 -1.388 -7.507
123 H -3.774 -0.555 -3.879
124 H -5.477 -0.772 -3.670
125 H -4.695 0.864 -3.339
126 H -3.426 1.912 -5.445
127 H -3.936 1.194 -6.972
128 H -1.881 0.158 -4.873
129 H -1.746 0.758 -6.552
130 H -3.092 -2.403 -7.749
131 H -2.668 -0.833 -8.368
132 H -4.187 -1.113 -7.491
133 C 1.093 2.592 5.791
134 O 0.937 2.785 4.386
135 C 1.420 3.939 3.731
136 C 1.213 3.684 2.317
137 O 2.357 3.135 1.742
138 C 2.596 1.787 2.163
139 H 2.091 2.563 6.092
140 H 0.648 1.644 6.055
141 H 0.632 3.457 6.260
142 H 2.529 4.107 3.836
143 H 0.876 4.788 4.149
144 H 0.977 4.550 1.702
145 H 0.369 2.943 2.189
146 H 2.693 1.779 3.273
147 H 3.420 1.406 1.598
148 H 1.755 1.133 1.987
149 C 4.062 -2.524 8.102
150 O 4.759 -3.020 6.980
151 C 5.209 -4.374 7.029
152 C 4.356 -5.179 6.097
153 O 2.971 -4.934 6.238
154 C 2.377 -5.691 7.274
>>>
Solution.
ORCA calculation (wB97M-V/def2-TZVPD) on a cluster of 18 separate species, C65H152O43 in total at a distorted geometry.